Exercise
The reader should transcribe the whole of the calculation results underneath word for word.
File
+++
The following is a computed XRD peak list of SrEr2Pt9. It was derived from a cell relaxed with PBE, using Cu Kα (λ = 1.5418 Å).
Neutral-atom scattering factors, no anomalous dispersion.

Largest 8 diffraction maxima, low angle first, 10° ≤ 2θ ≤ 90°:
two_theta  intensity
19.1  310
38.2  284
38.8  1000
41.1  260
41.9  568
42.3  259
62.6  251
68.8  291

Structure:
```
12
Lattice="2.7307 1.5766 8.7883 -2.7307 1.5766 8.7883 0.0000 -3.1531 8.7883" Properties=species:S:1:pos:R:3 pbc="T T T"
Sr 0.0000 0.0000 0.0000
Er 0.0000 0.0000 3.6988
Er 0.0000 0.0000 22.6660
Pt -1.3869 -0.8007 11.0611
Pt 0.0000 0.0000 8.7642
Pt 0.0000 -1.6015 15.3037
Pt -1.3869 0.8007 15.3037
Pt 0.0000 0.0000 13.1824
Pt 1.3869 -0.8007 11.0611
Pt 0.0000 1.6015 11.0611
Pt 0.0000 0.0000 17.6006
Pt 1.3869 0.8007 15.3037
```

----------

For Na5Eu4Si4O16F, a DFT-relaxed cell (GGA-PBE, the Materials Project) gives the theoretical powder diffractogram in this record (Cu Kα).

Structural model:
abc: 11.9372 11.9372 5.5328
angles: 90.00 90.00 90.00
Space group I-4 (No. 82)
Asymmetric unit:
Na 0.0000 0.0000 0.0000 x2
Na 0.0897 0.3941 0.5084 x8
Eu 0.1148 0.8180 0.5213 x8
Si 0.1032 0.2483 0.0102 x8
O 0.0352 0.2083 0.2539 x8
O 0.0484 0.1900 0.7699 x8
O 0.1062 0.3854 0.9856 x8
O 0.2032 0.7673 0.9430 x8
F 0.0000 0.0000 0.5000 x2

The 10 most intense peaks (2θ from 10° to 80°), low angle first:
2θ = 10.48°, rel. 60, hkl 1 1 0; 2θ = 17.67°, rel. 100, hkl 1 0 1; 2θ = 23.15°, rel. 49, hkl 1 2 1; 2θ = 23.57°, rel. 51, hkl 1 3 0; 2θ = 27.61°, rel. 68, hkl 3 0 1; 2θ = 31.49°, rel. 79, hkl 3 2 1; 2θ = 32.36°, rel. 51, hkl 0 0 2; 2θ = 34.98°, rel. 67, hkl 1 4 1; 2θ = 41.18°, rel. 43, hkl 4 3 1; 2θ = 47.32°, rel. 49, hkl 4 2 2

----------

The following is a theoretical XRD peak list of KNbSe4. It was derived from a structure optimized by DFT (GGA-PBE), using CuKα.
No peak broadening, texture or thermal motion is included.

Crystal structure
```
data_KNbSe4
_cell_length_a 7.8770
_cell_length_b 14.4952
_cell_length_c 6.4779
_cell_angle_alpha 90.00
_cell_angle_beta 113.46
_cell_angle_gamma 90.00
_space_group_name_H-M_alt 'C 1 2/c 1'
_space_group_IT_number 15
_space_group_name_Hall '-C 2yc'
loop_
_atom_site_label
_atom_site_type_symbol
_atom_site_fract_x
_atom_site_fract_y
_atom_site_fract_z
K1 K 0.0000 0.1466 0.2500
Nb1 Nb 0.0000 0.5003 0.2500
Se1 Se 0.0655 0.3586 0.5311
Se2 Se 0.2281 0.0725 0.8667
```

Largest 12 diffraction maxima, sorted by position, 10° ≤ 2θ ≤ 80°:
h k l	Position (°2θ)	I/Imax
0 2 0	12.2	71
1 1 0	13.7	100
1 1 -2	28.2	26
0 4 1	28.9	18
1 3 -2	33.3	36
3 1 -1	34.7	20
2 2 1	36.0	36
1 3 2	41.6	20
1 5 -2	41.8	21
3 3 -2	42.1	20
2 6 0	45.1	25
2 0 -4	56.9	24

----------

No. 1
# CeNi4Sn2
Theoretical PXRD pattern, Cu Kα X-rays. Input: a DFT-relaxed cell (PBE, the Materials Project).

Structural model:
```
14
Lattice="-3.5573 3.5573 3.7786 3.5573 -3.5573 3.7786 3.5573 3.5573 -3.7786" Properties=species:S:1:pos:R:3 pbc="T T T"
Ce 0.0000 0.0000 1.8893
Ce 0.0000 0.0000 5.6679
Ni 4.6138 -0.9573 1.2592
Ni 2.5999 -1.0565 2.5194
Ni 2.5008 0.9573 1.2592
Ni 4.5146 1.0565 2.5194
Ni -1.0565 2.5999 1.2592
Ni 0.9573 2.5008 2.5194
Ni 1.0565 4.5146 1.2592
Ni -0.9573 4.6138 2.5194
Sn 4.6761 1.1189 0.0000
Sn 1.1189 2.4384 0.0000
Sn 2.4384 1.1189 3.7786
Sn -1.1189 2.4384 3.7786
```

Principal peaks in the range 10° ≤ 2θ ≤ 80°, by angle:
| 2theta | d/Å | I_rel |
| --- | --- | --- |
| 29.57 | 3.021 | 30 |
| 30.48 | 2.932 | 16 |
| 34.63 | 2.590 | 33 |
| 35.69 | 2.515 | 12 |
| 40.08 | 2.250 | 87 |
| 45.95 | 1.975 | 100 |
| 57.97 | 1.591 | 11 |
| 60.39 | 1.533 | 12 |
| 64.39 | 1.447 | 11 |
| 65.58 | 1.424 | 12 |

---

No. 2
# Li2PtO6
Theoretical PXRD pattern, Cu Kα X-rays. Input: a DFT-relaxed cell (PBE, the Materials Project).

Structural model:
```
9
Lattice="2.9945 -4.6300 0.0000 2.9945 4.6300 0.0000 -0.9122 0.0000 3.6891" Properties=species:S:1:pos:R:3 pbc="T T T"
Li 2.9945 3.2199 0.0000
Li 2.9945 -3.2199 0.0000
Pt 2.9945 0.0000 0.0000
O 0.3412 0.0000 2.9651
O 2.3190 1.5840 1.1724
+++
Reply
The following is a computed XRD peak list of SrEr2Pt9. It was derived from a cell relaxed with PBE, using Cu Kα (λ = 1.5418 Å).
Neutral-atom scattering factors, no anomalous dispersion.

Largest 8 diffraction maxima, low angle first, 10° ≤ 2θ ≤ 90°:
two_theta  intensity
19.1  310
38.2  284
38.8  1000
41.1  260
41.9  568
42.3  259
62.6  251
68.8  291

Structure:
```
12
Lattice="2.7307 1.5766 8.7883 -2.7307 1.5766 8.7883 0.0000 -3.1531 8.7883" Properties=species:S:1:pos:R:3 pbc="T T T"
Sr 0.0000 0.0000 0.0000
Er 0.0000 0.0000 3.6988
Er 0.0000 0.0000 22.6660
Pt -1.3869 -0.8007 11.0611
Pt 0.0000 0.0000 8.7642
Pt 0.0000 -1.6015 15.3037
Pt -1.3869 0.8007 15.3037
Pt 0.0000 0.0000 13.1824
Pt 1.3869 -0.8007 11.0611
Pt 0.0000 1.6015 11.0611
Pt 0.0000 0.0000 17.6006
Pt 1.3869 0.8007 15.3037
```

----------

For Na5Eu4Si4O16F, a DFT-relaxed cell (GGA-PBE, the Materials Project) gives the theoretical powder diffractogram in this record (Cu Kα).

Structural model:
abc: 11.9372 11.9372 5.5328
angles: 90.00 90.00 90.00
Space group I-4 (No. 82)
Asymmetric unit:
Na 0.0000 0.0000 0.0000 x2
Na 0.0897 0.3941 0.5084 x8
Eu 0.1148 0.8180 0.5213 x8
Si 0.1032 0.2483 0.0102 x8
O 0.0352 0.2083 0.2539 x8
O 0.0484 0.1900 0.7699 x8
O 0.1062 0.3854 0.9856 x8
O 0.2032 0.7673 0.9430 x8
F 0.0000 0.0000 0.5000 x2

The 10 most intense peaks (2θ from 10° to 80°), low angle first:
2θ = 10.48°, rel. 60, hkl 1 1 0; 2θ = 17.67°, rel. 100, hkl 1 0 1; 2θ = 23.15°, rel. 49, hkl 1 2 1; 2θ = 23.57°, rel. 51, hkl 1 3 0; 2θ = 27.61°, rel. 68, hkl 3 0 1; 2θ = 31.49°, rel. 79, hkl 3 2 1; 2θ = 32.36°, rel. 51, hkl 0 0 2; 2θ = 34.98°, rel. 67, hkl 1 4 1; 2θ = 41.18°, rel. 43, hkl 4 3 1; 2θ = 47.32°, rel. 49, hkl 4 2 2

----------

The following is a theoretical XRD peak list of KNbSe4. It was derived from a structure optimized by DFT (GGA-PBE), using CuKα.
No peak broadening, texture or thermal motion is included.

Crystal structure
```
data_KNbSe4
_cell_length_a 7.8770
_cell_length_b 14.4952
_cell_length_c 6.4779
_cell_angle_alpha 90.00
_cell_angle_beta 113.46
_cell_angle_gamma 90.00
_space_group_name_H-M_alt 'C 1 2/c 1'
_space_group_IT_number 15
_space_group_name_Hall '-C 2yc'
loop_
_atom_site_label
_atom_site_type_symbol
_atom_site_fract_x
_atom_site_fract_y
_atom_site_fract_z
K1 K 0.0000 0.1466 0.2500
Nb1 Nb 0.0000 0.5003 0.2500
Se1 Se 0.0655 0.3586 0.5311
Se2 Se 0.2281 0.0725 0.8667
```

Largest 12 diffraction maxima, sorted by position, 10° ≤ 2θ ≤ 80°:
h k l	Position (°2θ)	I/Imax
0 2 0	12.2	71
1 1 0	13.7	100
1 1 -2	28.2	26
0 4 1	28.9	18
1 3 -2	33.3	36
3 1 -1	34.7	20
2 2 1	36.0	36
1 3 2	41.6	20
1 5 -2	41.8	21
3 3 -2	42.1	20
2 6 0	45.1	25
2 0 -4	56.9	24

----------

No. 1
# CeNi4Sn2
Theoretical PXRD pattern, Cu Kα X-rays. Input: a DFT-relaxed cell (PBE, the Materials Project).

Structural model:
```
14
Lattice="-3.5573 3.5573 3.7786 3.5573 -3.5573 3.7786 3.5573 3.5573 -3.7786" Properties=species:S:1:pos:R:3 pbc="T T T"
Ce 0.0000 0.0000 1.8893
Ce 0.0000 0.0000 5.6679
Ni 4.6138 -0.9573 1.2592
Ni 2.5999 -1.0565 2.5194
Ni 2.5008 0.9573 1.2592
Ni 4.5146 1.0565 2.5194
Ni -1.0565 2.5999 1.2592
Ni 0.9573 2.5008 2.5194
Ni 1.0565 4.5146 1.2592
Ni -0.9573 4.6138 2.5194
Sn 4.6761 1.1189 0.0000
Sn 1.1189 2.4384 0.0000
Sn 2.4384 1.1189 3.7786
Sn -1.1189 2.4384 3.7786
```

Principal peaks in the range 10° ≤ 2θ ≤ 80°, by angle:
| 2theta | d/Å | I_rel |
| --- | --- | --- |
| 29.57 | 3.021 | 30 |
| 30.48 | 2.932 | 16 |
| 34.63 | 2.590 | 33 |
| 35.69 | 2.515 | 12 |
| 40.08 | 2.250 | 87 |
| 45.95 | 1.975 | 100 |
| 57.97 | 1.591 | 11 |
| 60.39 | 1.533 | 12 |
| 64.39 | 1.447 | 11 |
| 65.58 | 1.424 | 12 |

---

No. 2
# Li2PtO6
Theoretical PXRD pattern, Cu Kα X-rays. Input: a DFT-relaxed cell (PBE, the Materials Project).

Structural model:
```
9
Lattice="2.9945 -4.6300 0.0000 2.9945 4.6300 0.0000 -0.9122 0.0000 3.6891" Properties=species:S:1:pos:R:3 pbc="T T T"
Li 2.9945 3.2199 0.0000
Li 2.9945 -3.2199 0.0000
Pt 2.9945 0.0000 0.0000
O 0.3412 0.0000 2.9651
O 2.3190 1.5840 1.1724